Friday, December 1, 2023

Deck the halls

### Unrelated to this page: crystal structures
+++
An optimized crystal structure of Ac3Mg. Source: Alexandria, functional PBE-GGA.

Properties
The space group is No. 44. The value obtained for the excess energy over the best structure of this formula in the dataset is 0.035 eV per atom. Its crystal system is orthorhombic.

Unit cell a=4.204 b=12.574 c=6.132 alpha=90.00 beta=90.00 gamma=90.00
Sites, in units of the cell vectors:
Ac1 0.000 0.000 0.000
Ac2 0.000 0.225 0.499
Ac3 0.000 0.775 0.499
Ac4 0.500 0.275 0.999
Ac5 0.500 0.500 0.500
Ac6 0.500 0.725 0.999
Mg1 0.000 0.500 0.000
Mg2 0.500 0.000 0.500

***

An optimized crystal structure of Cr2CuIr. Source: Alexandria, functional PBE-GGA.

Properties
The space group is No. 44. Its crystal system is orthorhombic.

Unit cell a=2.768 b=8.507 c=4.255 alpha=90.00 beta=90.00 gamma=90.00
Sites, in units of the cell vectors:
Cr1 0.000 0.249 0.000
Cr2 0.000 0.751 0.000
Cr3 0.500 0.251 0.500
Cr4 0.500 0.749 0.500
+++

Okay, NOW it's safe to put Christmas decorations up.  My family used to joke that it was bad luck to put up Christmas decorations before December began, and it kinda became a family tradition after that.  Some folks put up their trees and frippery ON Thanksgiving, or even before.  I don't mean any shade towards them, but I prefer to have Christmas after the turkey and the cranberry sauce.  Or the spaghetti and the meat sauce, which is what we had this past Thanksgiving.  Whatever works.  Either way Rita Cheryl was ready for a change and I gave it to her.
Remember a few days ago, when I said I could doll Rita Cheryl up like the new collector doll for a fraction of the cost?  Rita Cheryl told me maybe when it's hot again, but right now?  Absolutely not!  I do intend on at least trying to put my money where my mouth is, but Dolly Child and I are focusing on the closer future for right now.  American Girl has ugly sweaters for both Christmas (here and here) and Hanukkah (here and here), though they call 'em "silly" rather than "ugly."  But I wanted a legit ugly-in-a-good-way sweater for Rita Cheryl to wear, and HappyThreadGirlCo came through.  This bad boy is handmade, and it's nice and chunky so Rita Cheryl could layer it over a turtleneck if it were extra cold outside.  But my favorite part is these Christmas light charms.  I've seen glass Christmas light chatms before, but these are the more kid-friendly plastic.
What a pity that Rita Cheryl's ears aren't pierced, because a getup like this begs for Christmas light earrings!  I'll have to see what I can do about that.
I've never owned one of these AG rings before, so I have no idea which finger it's supposed to fit.  It slipped off her index finger right after I took this picture, so that's probably not the right finger.

The other freebie was this ornament.  It's a hollow plastic orb with iridescent pink glitter inside. 
The only gripe I have with any of this stuff is the Velcro in the back of the sweater.  It holds together with zero fuss, but it's very shaggy and should be kept away from tights and from hair.
It's easy to use, though.  The seller clearly meant for this to be kid-friendly, but it's pretty easy for grown-up hands too.

Here the piece breaks off for calculated crystals =
~~~
DFT (GGA-PBE) results for a relaxed Cs2HfMnS4 crystal.

a = 6.0771 Å, b = 7.8481 Å, c = 13.1326 Å
α = 84.86°, β = 76.62°, γ = 67.22°
Last column: nearest neighbours and their distance in Å.
Element x y z (fractional)
1 Cs 0.1769 0.0000 0.6461  8 S 3.80-3.90
2 Cs 0.8231 0.0000 0.3539  8 S 3.80-3.90
3 Cs 0.5731 0.5000 0.8539  8 S 3.80-3.90
4 Cs 0.9269 0.5000 0.1461  8 S 3.80-3.90
5 Hf 0.7500 0.5000 0.5000  4 S 2.39
6 Hf 0.0000 0.0000 0.0000  4 S 2.39
7 Mn 0.2500 0.5000 0.5000  4 S 2.41
8 Mn 0.5000 0.0000 0.0000  4 S 2.41
9 S 0.2893 0.8148 0.1013  1 Hf 2.39, 1 Mn 2.41
10 S 0.2053 0.1852 0.8987  1 Hf 2.39, 1 Mn 2.41
11 S 0.8959 0.8148 0.8987  1 Hf 2.39, 1 Mn 2.41
12 S 0.6095 0.1852 0.1013  1 Hf 2.39, 1 Mn 2.41
13 S 0.4607 0.6852 0.3987  1 Hf 2.39, 1 Mn 2.41
14 S 0.5447 0.3148 0.6013  1 Hf 2.39, 1 Mn 2.41
15 S 0.8541 0.6852 0.6013  1 Hf 2.39, 1 Mn 2.41
16 S 0.1405 0.3148 0.3987  1 Hf 2.39, 1 Mn 2.41

Properties
**ΔE_f (raw)**: -1275 meV/atom
**SG**: Fddd
**Magnetic moment**: 10.00 Bohr magnetons per cell
**Uncorrected energy**: -5.943 eV per atom



DFT (GGA-PBE) results for a relaxed CsHfMnSe4 crystal.

a = 6.5590 Å, b = 7.0060 Å, c = 10.6844 Å
α = 90.00°, β = 120.77°, γ = 90.00°
Last column: nearest neighbours and their distance in Å.
Element x y z (fractional)
1 Cs 0.6699 0.7500 0.9498  7 Se 3.50-3.90
2 Cs 0.3301 0.2500 0.0502  7 Se 3.50-3.90
3 Hf 0.7758 0.7500 0.4463  6 Se 2.66-2.81
4 Hf 0.2242 0.2500 0.5537  6 Se 2.66-2.81
5 Mn 0.2087 0.7500 0.3541  4 Se 2.34-2.45
6 Mn 0.7913 0.2500 0.6459  4 Se 2.34-2.45
7 Se 0.0706 0.5044 0.6773  1 Mn 2.45, 1 Hf 2.70
8 Se 0.9294 0.0044 0.3227  1 Mn 2.45, 1 Hf 2.70
9 Se 0.9294 0.4956 0.3227  1 Mn 2.45, 1 Hf 2.70
10 Se 0.0706 0.9956 0.6773  1 Mn 2.45, 1 Hf 2.70
11 Se 0.3666 0.7500 0.1940  1 Mn 2.41, 1 Hf 2.66
12 Se 0.6334 0.2500 0.8060  1 Mn 2.41, 1 Hf 2.66
13 Se 0.5420 0.7500 0.5889  1 Mn 2.34
14 Se 0.4580 0.2500 0.4111  1 Mn 2.34

Properties
**ΔE_f (raw)**: -943 meV/atom
**SG**: P2_1/m
**Magnetic moment**: 7.99 Bohr magnetons per cell
**Uncorrected energy**: -5.788 eV per atom



DFT (GGA-PBE) results for a relaxed CsHfMo3 crystal.

a = 4.8730 Å, b = 4.8730 Å, c = 4.8730 Å
α = 90.00°, β = 90.00°, γ = 90.00°
Last column: nearest neighbours and their distance in Å.
Element x y z (fractional)
1 Cs 0.0000 0.0000 0.0000  6 Mo 2.44
2 Mo 0.0000 0.5000 0.0000  2 Cs 2.44
3 Mo 0.0000 0.0000 0.5000  2 Cs 2.44
4 Mo 0.5000 0.0000 0.0000  2 Cs 2.44
5 Hf 0.5000 0.5000 0.5000  12 Mo 3.45

Properties
**ΔH_f (0 K)**: 2.922 eV/atom
**Distance to the lowest polymorph of the same formula**: 667 meV/atom
**SG**: Pm-3m
**Magnetic moment**: 0.03 Bohr magnetons per cell
**Uncorrected energy**: -5.738 eV per atom



DFT (GGA-PBE) results for a relaxed CsHfMo3 crystal.

a = 5.1550 Å, b = 5.1550 Å, c = 5.1550 Å
α = 90.00°, β = 90.00°, γ = 90.00°
Last column: nearest neighbours and their distance in Å.
Element x y z (fractional)
1 Cs 0.5000 0.5000 0.5000  12 Mo 3.65
2 Mo 0.0000 0.5000 0.0000  2 Hf 2.58
3 Mo 0.0000 0.0000 0.5000  2 Hf 2.58
~~~

LOL, I love ugly Christmas sweaters, but being heavy means that my options are limited.  So as I often do, I live through my dolls!  I'm thankful to HappyThreadsGirlCo for this option for Rita Cheryl, and I particularly recommend her shop if you like very small baby dolls.  She's got playpens!

Joyeux noel


  1. In my opinion, Velcro should be kept away from sweaters too, but it is easier for kids to use. I'm with you on decorating for Christmas; it shouldn't start until after Thanksgiving. My eldest daughter's birthday is December 21st, so for most of her growing up years, we didn't even put up a tree until the 22nd, in an effort to keep her birthday and Christmas separate. Plus, we keep our decorations up until January 6th in any case.

    1. I always felt sorry for folks who were born in December, because they had to compete with Christmas! Sounds like y'all had a nice way of keeping the two holidays separate. Yeah, I think this sweater was meant for a child to use, so that's why it had Velcro on it. Heck, I'm a child at heart, so that counts!
